Types Of Carp From Around The World

When it comes to all of the different types of carp, there are so many to choose from.

From the lakes of Japan, all the way over to the springs of North America.

Types Of Carp From Around The World

You won’t have a problem finding a new type that you might not have heard of before.

We all know what carp fish look like, in some way, shape, or form. However, it’s good to look a bit deeper.

Carp are usually a lot bigger than the other fish in their habitat, so they can expect to be left relatively unharmed by other creatures.

Also known as a pillar species, carp fish actually absorb their environment and taste as good as their water quality is.

If they live in a swamp, then they’re bound to taste worse than a fresh river!

Follow the rest of our guide to find out some of the different species of carp from around the world.

Common Carp

When you think of this type of fish, it’s likely you’re thinking of a common carp.

Their flank is entirely covered with small scales in a pattern that’s replicated along their body. There are two barbules present on either side of the mouth.

This fish is particularly easy to spot for anglers because they look so simple. They can also grow to be massive, so they’re great to catch.

Although smaller, more desirable mirror carp are usually the target for a lot of anglers around the world, the common carp is actually a great fight and will give you something to do for a while, whilst you try to land it.

Mirror Carp

We briefly mentioned them already, so it’s only fair that we look at them closely here.

The mirror carp fish is a lot easier to spot than the common carp because they have irregular scales dotted around on their flank.

These patterns can resemble what’s referred to as a linear pattern of scales.

A mirror carp with this will have a row of singular scales down their flank on the lateral line.

Types Of Carp From Around The World

Unrelated to this text: records of crystals.
=====
w | VASP calculation (PBE with a Hubbard U) on crystalline Li3Cr2P3O12 at its relaxed geometry.

Lattice parameters (Å, degrees): 8.6720 8.7276 14.9666 90.00 125.36 90.00
Space group P2_1/c (No. 14)
Asymmetric unit:
Li1 0.0074 0.2313 0.3143 x4
Li2 0.2327 0.0715 0.2872 x4
Li3 0.4066 0.2279 0.1809 x4
Cr1 0.1458 0.5374 0.3889 x4
Cr2 0.3601 0.5409 0.1131 x4
P1 0.0415 0.1076 0.6466 x4
P2 0.2544 0.6002 0.6456 x4
P3 0.4550 0.2483 0.4981 x4
O1 0.0267 0.2280 0.1839 x4
O2 0.0356 0.5139 0.2221 x4
O3 0.0916 0.5913 0.6619 x4
O4 0.1247 0.5754 0.9703 x4
O5 0.1893 0.5553 0.5314 x4
O6 0.2332 0.1006 0.6612 x4
O7 0.2642 0.1665 0.9185 x4
O8 0.3394 0.7372 0.1791 x4
O9 0.3764 0.6458 0.4310 x4
O10 0.3988 0.0223 0.2294 x4
O11 0.4317 0.1568 0.5787 x4
O12 0.4709 0.1408 0.4213 x4

Properties
V, Å³/f.u.: 231.0

=====

x | VASP calculation (PBE with a Hubbard U) on crystalline Li3Cr2P3O12 at its relaxed geometry.

Lattice parameters (Å, degrees): 11.7986 12.2320 6.3489 90.00 114.13 90.00
Space group C2/c (No. 15)
Asymmetric unit:
Li1 0.0000 0.0000 0.0000 x4
Li2 0.0000 0.2203 0.2500 x4
Li3 0.0000 0.4734 0.7500 x4
Cr1 0.2193 0.3388 0.1385 x8
P1 0.0000 0.2160 0.7500 x4
P2 0.2423 0.3973 0.6324 x8
O1 0.0451 0.2920 0.9670 x8
O2 0.0987 0.1382 0.7288 x8
O3 0.1210 0.0824 0.3003 x8
O4 0.1621 0.4963 0.1055 x8
O5 0.1752 0.3340 0.4024 x8
O6 0.2284 0.3230 0.8269 x8

Properties
V, Å³/f.u.: 209.1

=====

y | VASP calculation (PBE with a Hubbard U) on crystalline Li3Cr2P3O12 at its relaxed geometry.

Lattice parameters (Å, degrees): 8.8238 9.0774 15.0148 81.59 72.98 60.96
Space group P1 (No. 1)
Asymmetric unit:
Li1 0.0000 0.0000 0.0000 x1
Li2 0.0072 0.4882 0.5006 x1
Li3 0.1028 0.4245 0.1519 x1
Li4 0.1999 0.7148 0.5576 x1
Li5 0.3260 0.9206 0.6507 x1
Li6 0.4102 0.2398 0.7479 x1
Li7 0.4768 0.7728 0.9425 x1
Li8 0.5354 0.2151 0.0572 x1
Li9 0.6103 0.7429 0.2488 x1
Li10 0.6798 0.0684 0.3488 x1
Li11 0.8117 0.2751 0.4411 x1
Li12 0.9119 0.5664 0.8485 x1
Cr1 0.1750 0.0158 0.1638 x1
Cr2 0.2454 0.0381 0.4684 x1
Cr3 0.2506 0.5389 0.9701 x1
Cr4 0.3601 0.4741 0.3346 x1
Cr5 0.6485 0.5148 0.6649 x1
Cr6 0.7578 0.4524 0.0302 x1
Cr7 0.7666 0.9498 0.5297 x1
Cr8 0.8347 0.9760 0.8347 x1
P1 0.1082 0.8530 0.3719 x1
P2 0.1921 0.2132 0.9697 x1
P3 0.2241 0.2125 0.3091 x1
P4 0.2574 0.7123 0.8110 x1
P5 0.3393 0.6377 0.1273 x1
P6 0.3821 0.2767 0.5287 x1
P7 0.6289 0.7122 0.4700 x1
P8 0.6688 0.3541 0.8732 x1
P9 0.7506 0.2785 0.1889 x1
P10 0.7881 0.7773 0.6896 x1
P11 0.8173 0.7782 0.0293 x1
P12 0.9007 0.1373 0.6260 x1
O1 0.0135 0.7428 0.0174 x1
O2 0.0655 0.2173 0.3927 x1
O3 0.0929 0.8836 0.8047 x1
O4 0.1048 0.0138 0.6003 x1
O5 0.1298 0.6742 0.3724 x1
O6 0.1800 0.3600 0.0198 x1
O7 0.1818 0.8156 0.1264 x1
O8 0.1987 0.8530 0.4464 x1
O9 0.2022 0.1974 0.2117 x1
O10 0.2038 0.9097 0.2823 x1
O11 0.2099 0.5646 0.8385 x1
O12 0.2254 0.3832 0.3015 x1
O13 0.2340 0.2406 0.5158 x1
O14 0.2726 0.0476 0.0287 x1
O15 0.2836 0.5145 0.1017 x1
O16 0.3019 0.1873 0.8696 x1
O17 0.3297 0.7160 0.8939 x1
O18 0.3566 0.4411 0.4688 x1
=====

The reason this fish has the name it does is that the scales appear reflective, although they’re not.

But, some of the colors you can see on a mirror carp are truly amazing to see!

Unlike the common carp fish, the mirror carp will have irregular patterns of scales along their body, which makes every fish unique.

Leather Carp

If you’re looking at a mirror carp and a leather carp side by side, then you’re likely to see similarities.

However, there are some differences. The biggest difference is that the leather carp doesn’t have many scales, so it’s instantly recognizable.

Their skin looks leather-like, so that’s where the name comes from.

/*
1.
Computed, not measured: a geometry-optimized RbPO3 structure at the PBE level of DFT.

## Properties
energy of formation from the pure elements: -2.63 eV per atom
total moment: 0.001 μB per formula unit

Unit cell a=6.074 b=13.382 c=4.863 alpha=90.00 beta=90.00 gamma=90.00
Space group Cmcm (No. 63)
Symmetry-distinct sites (fractional):
Rb 0.000 0.156 0.250
P 0.000 0.422 0.250
O 0.000 0.500 0.000
O 0.213 0.366 0.250

2.
Computed, not measured: a geometry-optimized RbPO4 structure at the PBE level of DFT.

## Properties
energy of formation from the pure elements: -2.03 eV per atom
total moment: 2.000 μB per formula unit

Unit cell a=7.900 b=6.194 c=10.083 alpha=90.00 beta=109.04 gamma=90.00
Space group P2_1 (No. 4)
Symmetry-distinct sites (fractional):
Rb 0.243 0.000 0.475
Rb 0.243 0.982 0.976
P 0.258 0.485 0.238
P 0.261 0.496 0.739
O 0.096 0.503 0.792
O 0.098 0.480 0.296
O 0.170 0.411 0.084
O 0.182 0.568 0.585
O 0.327 0.719 0.246
O 0.330 0.262 0.752
O 0.404 0.329 0.326
O 0.405 0.652 0.830

3.
Computed, not measured: a geometry-optimized RbPO3 structure at the PBE level of DFT.

## Properties
energy of formation from the pure elements: -2.67 eV per atom

Unit cell a=4.576 b=6.208 c=13.157 alpha=90.00 beta=90.00 gamma=90.00
Space group Pnma (No. 62)
Symmetry-distinct sites (fractional):
Rb 0.228 0.250 0.092
P 0.181 0.750 0.324
O 0.159 0.250 0.713
O 0.235 0.541 0.379

Number 1: mass density 2.76 g/cm³, uncorrected energy -6.47 eV/atom. Number 2: mass density 2.57 g/cm³, uncorrected energy -5.93 eV/atom. Number 3: mass density 2.92 g/cm³, uncorrected energy -6.51 eV/atom.

~~~~~

Compound: NaHoSe2
Source: the Materials Project
Functional: PBE
Structure: relaxed

Output
formation energy = -44.62 kcal/mol of atoms
total energy = -4.92 eV/atom

Cell: 7.379 7.379 7.379 Å, 32.50 32.50 32.50°
Fractional positions:
Na 0.000 0.000 0.000
Ho 0.500 0.500 0.500
Se 0.243 0.243 0.243
Se 0.757 0.757 0.757

~~~~~

This record from the Materials Project describes Cs3Cu2I5 after structural relaxation. The functional is r²SCAN.

Lattice parameters (Å, degrees): 10.2861 11.7638 14.4123 90.00 90.00 90.00
With the nearest neighbours (Å) after each atom.
Sites, in units of the cell vectors:
Cs 0.0528 0.0119 0.1759  9 I 3.91-4.37, 2 Cu 3.98-4.17
Cs 0.0528 0.4881 0.1759  9 I 3.91-4.37, 2 Cu 3.98-4.17
Cs 0.0925 0.7500 0.4509  8 I 3.78-4.03, 1 Cu 3.90
Cs 0.4075 0.2500 0.9509  8 I 3.78-4.03, 1 Cu 3.90
Cs 0.4472 0.5119 0.6759  9 I 3.91-4.37, 2 Cu 3.98-4.17
Cs 0.4472 0.9881 0.6759  9 I 3.91-4.37, 2 Cu 3.98-4.17
Cs 0.5528 0.0119 0.3241  9 I 3.91-4.37, 2 Cu 3.98-4.17
Cs 0.5528 0.4881 0.3241  9 I 3.91-4.37, 2 Cu 3.98-4.17
Cs 0.5925 0.7500 0.0491  8 I 3.78-4.03, 1 Cu 3.90
Cs 0.9075 0.2500 0.5491  8 I 3.78-4.03, 1 Cu 3.90
Cs 0.9472 0.5119 0.8241  9 I 3.91-4.37, 2 Cu 3.98-4.17
Cs 0.9472 0.9881 0.8241  9 I 3.91-4.37, 2 Cu 3.98-4.17
Cu 0.2136 0.7500 0.0437  1 Cu 2.46, 2 I 2.57-2.59
Cu 0.2392 0.7500 0.8738  1 Cu 2.46, 3 I 2.51-2.56
Cu 0.2608 0.2500 0.3738  1 Cu 2.46, 3 I 2.51-2.56
*/

They actually only have about 3 or 4 scales on them, which are usually located close to the wrist of the tail and across the dorsal line. 

Leather carp don’t deal with fin damage very well, unlike a lot of other species of fish, with a regeneration rate of approximately 25%.

For comparison, common carp have a regeneration rate of 80%, so there’s a massive difference.

For this reason, if you catch a leather carp, you’re likely to find they have a bit of damage to their body, especially their fins.

Because leather carp have a smaller amount of fat reserve in their body, it’s likely that you can catch these fish throughout winter, as opposed to other types of carp that will be hard to find.

This is because they need to eat more during the winter months, unlike other types of carp fish.

This draws them out into the open because they are more active.

Grass Carp

When compared to the other carp in this guide, grass carp are the standout and look very different.

The biggest differentiation is that this species of carp is a lot larger and almost looks like a chub,(see also: What Are True Minnows?) rather than a carp.

With a long body and some compact scales, this fish actually lacks the barbules that a lot of other carp fish have around their mouth.

Types Of Carp From Around The World

Because of this, it’s quite common to see them feeding from the surface of the water, rather than skulking down at the bottom of the water body.

Originating in China and Siberia, these fish have now been introduced into British waters.

'''
A) Li2Fe3TeO8 | PBE+U | optimized geometry

Volume: 11.6 A^3/atom
Symmetry: P1, No. 1

Cell and atoms, written as POSCAR:
```
Li2Fe3TeO8
1.0
-4.2536 -4.1303 1.2694
-0.4615 -4.9770 -3.5652
5.3955 -2.9880 8.5064
O Li Fe Te
16 4 6 2
direct
0.0848 0.8064 0.6376 O
0.8587 0.2698 0.8631 O
0.1331 0.7358 0.1374 O
0.8514 0.7459 0.8694 O
0.4119 0.1949 0.8703 O
0.5939 0.2587 0.1356 O
0.9110 0.7248 0.3543 O
0.3709 0.2584 0.3580 O
0.0821 0.2800 0.6396 O
0.3642 0.7292 0.3561 O
0.9075 0.1871 0.3554 O
0.1514 0.2550 0.1333 O
0.4154 0.7351 0.8711 O
0.5948 0.8129 0.1373 O
0.6363 0.7371 0.6418 O
0.6307 0.2729 0.6422 O
0.2129 0.5821 0.9254 Li
0.7097 0.5840 0.4338 Li
0.7907 0.4147 0.0652 Li
0.2839 0.4221 0.5779 Li
0.2494 0.9990 0.2497 Fe
0.9995 0.0011 0.5028 Fe
0.2476 0.0033 0.7501 Fe
0.5016 0.9968 0.9948 Fe
0.7525 0.9955 0.2501 Fe
0.7525 0.9996 0.7486 Fe
0.2532 0.4973 0.2477 Te
0.7486 0.5005 0.7512 Te
```

=====

B) Li2Fe3TeO8 | PBE+U | optimized geometry

Volume: 11.6 A^3/atom
Symmetry: P-1, No. 2

Cell and atoms, written as POSCAR:
```
Li2Fe3TeO8
1.0
-0.0008 -3.5084 4.9679
6.1345 0.0809 0.0561
0.1378 7.0950 5.0239
Li O Te Fe
4 16 2 6
direct
0.4999 0.7762 0.6417 Li
0.0001 0.7238 0.8584 Li
0.5004 0.2232 0.3582 Li
0.9996 0.2768 0.1418 Li
0.7296 0.7348 0.0064 O
0.9916 0.4643 0.7258 O
0.5123 0.4936 0.7747 O
0.7298 0.2642 0.9930 O
0.2843 0.2664 0.0036 O
0.5098 0.9628 0.2264 O
0.2157 0.2335 0.4964 O
0.2845 0.7327 0.9972 O
0.9877 0.0064 0.7253 O
0.7702 0.2357 0.5070 O
0.7704 0.7652 0.4936 O
0.2155 0.7673 0.5028 O
0.9902 0.5373 0.2736 O
0.5086 0.0357 0.7742 O
0.5121 0.5050 0.2254 O
0.9879 0.9950 0.2746 O
0.9945 0.0008 0.4997 Te
0.5055 0.4992 0.0003 Te
0.2500 0.2500 0.7499 Fe
0.2499 0.7500 0.2500 Fe
0.0028 0.5010 0.5004 Fe
0.4972 0.9991 0.9995 Fe
0.7501 0.7501 0.2499 Fe
0.7500 0.2500 0.7500 Fe
```

=====

C) Li2Fe3TeO8 | PBE+U | optimized geometry

Volume: 11.6 A^3/atom
Symmetry: C2/m, No. 12

Cell and atoms, written as POSCAR:
```
Li2Fe3TeO8
1.0
-3.0061 5.3378 -0.8476
-4.3177 0.6110 -4.3877
-5.9961 0.5968 1.4192
O Li Te Fe
8 2 1 3
direct
0.2690 0.7187 0.2688 O
0.7310 0.7311 0.2814 O
0.7317 0.7319 0.7324 O
0.2683 0.2681 0.2676 O
0.7187 0.2689 0.2687 O
0.2813 0.7311 0.7313 O
0.2690 0.2689 0.7186 O
0.7310 0.2813 0.7312 O
0.8628 0.8628 0.8629 Li
0.1372 0.1372 0.1371 Li
0.5000 0.5000 0.5000 Te
0.0000 0.5000 0.5000 Fe
0.5000 0.0000 0.5000 Fe
0.5000 0.5000 0.0000 Fe
```

=====

D) Li2Fe3TeO8 | PBE+U | optimized geometry

Volume: 11.1 A^3/atom
Symmetry: P6_3mc, No. 186

Cell and atoms, written as POSCAR:
```
Li2Fe3TeO8
1.0
1.1492 4.3097 -4.0550
-2.1979 1.4679 5.4177
9.2074 0.8441 3.5066
Te O Fe Li
2 16 6 4
direct
0.6667 0.3333 0.9848 Te
0.3333 0.6667 0.4848 Te
0.5179 0.0359 0.8451 O
0.0359 0.5179 0.3451 O
0.3280 0.1640 0.0952 O
0.6667 0.3333 0.6092 O
0.1640 0.8360 0.5952 O
0.1640 0.3280 0.5952 O
0.9641 0.4821 0.8451 O
0.8360 0.6720 0.0952 O
0.0000 0.0000 0.3034 O
0.0000 0.0000 0.8034 O
0.4821 0.5179 0.3451 O
0.3333 0.6667 0.1092 O
0.6720 0.8360 0.5952 O
0.5179 0.4821 0.8451 O
'''
### End of the data records

This was to try and combat weeds becoming too overgrown, with many anglers finding them in lakes with lots of weeds and plants.

Crucian Carp

Scientifically known as Carassius carassius, this fish is often searched for by a lot of anglers because they aren’t as easy to find as some other species of the fish.

Not to mention, they always put up a good battle when you’re trying to land one.

They are quite small in comparison to some of the carp types in our guide, which makes them desirable.

Much like the grass carp, they don’t have barbules on their face and they tend to be quite delicate feeders.

Because of this, it can be quite hard to detect when one is trying to take a bite out of your bait.

The crucian carp has small scales across its body and has a golden shade of color to the skin, which makes them look quite distinctive from other carp.

Because of their hardy nature, these fish can be seen in a variety (see also: The Different Varieties Of Puffer Fish)of different environments, from lots of weeds, cold conditions, and dirty water.


There you have it, these are some of the different types of carp fish you can expect to see around the world.

After all, they’re widely sought after because of their size and the way they battle when you have one on the end of your line.

They come in a wide variety of shapes and sizes, which allows them to stand out from other types of fish.

With similar features and body types, these fish are a great find, should you find one on the end of your hook.

Olivia Kepner